-- Activity --
Count the lines below that contain the word "coordinates" and give the number alone.
-- Data --
- - -
# 1
The following is a computed powder diffractogram of TlCl3. It was derived from a cell relaxed with PBE, using Cu Kα.
Neutral-atom scattering factors, no anomalous dispersion.

Crystal structure
Lattice parameters (Å, degrees): 13.0190 11.1518 7.3685 90.00 90.00 90.00
Space group Pnma (No. 62)
Symmetry-distinct sites (fractional):
1 Tl 0.2485 0.2500 0.1730
2 Cl 0.0861 0.2500 0.3222
3 Cl 0.1663 0.5683 0.5872

The 10 most intense peaks (2θ from 10° to 80°), by angle:
Position (°2θ)	Rel. int.	index
13.60	519	2 0 0
14.41	1000	0 1 1
15.92	619	0 2 0
19.86	518	2 1 1
20.98	195	2 2 0
25.12	350	1 0 2
31.85	225	4 2 0
35.80	156	3 2 2
43.07	164	3 1 3
44.72	144	2 5 1


# 2
The following is a computed powder diffractogram of Tl2Cl3. It was derived from a cell relaxed with PBE, using Cu Kα.
Neutral-atom scattering factors, no anomalous dispersion.

Crystal structure
Lattice parameters (Å, degrees): 4.5843 4.5843 27.0797 90.00 90.00 120.00
Space group R-3m (No. 166, hexagonal axes)
Symmetry-distinct sites (fractional):
1 Tl 0.0000 0.0000 0.0986
2 Cl 0.0000 0.0000 0.2804
3 Cl 0.0000 0.0000 0.5000

The 10 most intense peaks (2θ from 10° to 80°), by angle:
Position (°2θ)	Rel. int.	index
19.67	335	0 0 6
22.64	495	1 0 1
26.02	236	1 0 4
27.86	1000	0 1 5
39.31	415	1 1 0
40.32	317	1 0 10
43.24	171	0 1 11
44.32	254	1 1 6
48.87	210	2 0 5
64.43	182	1 2 5


# 3
The following is a computed powder diffractogram of TlCl3. It was derived from a cell relaxed with PBE, using Cu Kα.
Neutral-atom scattering factors, no anomalous dispersion.

Crystal structure
Lattice parameters (Å, degrees): 6.7664 11.7082 6.9101 90.00 108.69 90.00
Space group C2/m (No. 12)
Symmetry-distinct sites (fractional):
1 Tl 0.0000 0.1665 0.0000
2 Cl 0.2168 0.0000 0.2321
3 Cl 0.2461 0.1788 0.7702

The 10 most intense peaks (2θ from 10° to 80°), by angle:
Position (°2θ)	Rel. int.	index
13.53	1000	0 0 1
15.13	204	0 2 0
15.76	371	1 1 0
17.67	268	1 1 -1
26.75	514	2 0 -1
32.10	527	1 3 1
32.23	261	2 0 -2
41.79	203	1 3 2
45.75	185	1 3 -3
46.52	264	0 6 0


# 4
The following is a computed powder diffractogram of TmCl3. It was derived from a cell relaxed with PBE, using Cu Kα.
Neutral-atom scattering factors, no anomalous dispersion.

Crystal structure
Lattice parameters (Å, degrees): 6.6579 6.6579 18.0434 90.00 90.00 120.00
Space group R-3c (No. 167, hexagonal axes)
Symmetry-distinct sites (fractional):
1 Tm 0.0000 0.0000 0.0000
2 Cl 0.0000 0.3571 0.2500

The 10 most intense peaks (2θ from 10° to 80°), by angle:
Position (°2θ)	Rel. int.	index
18.26	1000	0 1 2
25.06	375	1 0 4
26.78	161	1 1 0
30.70	155	1 1 3
32.61	167	2 0 2
37.01	191	0 2 4
40.42	408	1 1 6
42.68	202	1 2 2
46.27	168	2 1 4
47.30	186	3 0 0


# 1
Diffraction record for HfB2H. The XRD peak list is simulated, not measured: it uses the PBE geometry in Alexandria and CuKα.
Kinematic intensities with the Lorentz-polarization factor, no thermal factor.

Main lines, sorted by position (2θ = 10–90°):
12.21 deg, d = 7.248 Å, intensity 72
24.57 deg, d = 3.624 Å, intensity 31
31.65 deg, d = 2.827 Å, intensity 100
32.54 deg, d = 2.751 Å, intensity 54
34.12 deg, d = 2.628 Å, intensity 53
37.22 deg, d = 2.416 Å, intensity 43
38.43 deg, d = 2.342 Å, intensity 48
40.79 deg, d = 2.212 Å, intensity 61
41.23 deg, d = 2.189 Å, intensity 38
52.69 deg, d = 1.737 Å, intensity 32

Cell and atoms:
a b c (Å): 3.238 3.070 7.356
angles (deg): 90.00 99.84 90.00
Fractional coordinates of all 8 atoms:
Hf (0.180, 0.250, 0.326)
Hf (0.820, 0.750, 0.674)
B (0.102, 0.250, 0.948)
B (0.372, 0.750, 0.922)
B (0.628, 0.250, 0.078)
B (0.898, 0.750, 0.052)
H (0.317, 0.250, 0.608)
H (0.683, 0.750, 0.392)

# 2
Diffraction record for HfB2H8. The XRD peak list is simulated, not measured: it uses the PBE geometry in Alexandria and CuKα.
Kinematic intensities with the Lorentz-polarization factor, no thermal factor.

Main lines, sorted by position (2θ = 10–90°):
15.34 deg, d = 5.778 Å, intensity 67
17.07 deg, d = 5.193 Å, intensity 100
27.46 deg, d = 3.248 Å, intensity 13
- - -
-- Completed --
1